**Wanted**
Next, find "59.2" and "O2'" in the lines underneath, and print these two lines and those between.

**Source**
+++
Record 1
This entry pairs a crystal structure of Ac2In12Hg with its theoretical PXRD pattern. Radiation: Cu Kα (λ = 1.5418 Å). Structure: a DFT-relaxed cell (GGA-PBE, Alexandria).

Principal peaks in the range 10° ≤ 2θ ≤ 90°, in order of rising 2θ:
| d/Å | 2θ (°) | Rel. int. |
| --- | --- | --- |
| 3.288 | 27.1 | 94 |
| 3.273 | 27.2 | 97 |
| 2.746 | 32.6 | 61 |
| 2.516 | 35.7 | 38 |
| 2.496 | 36.0 | 100 |
| 2.484 | 36.2 | 35 |
| 2.247 | 40.1 | 32 |
| 1.988 | 45.6 | 55 |
| 1.765 | 51.8 | 23 |
| 1.562 | 59.2 | 38 |

Cell and atoms:
```
data_Ac2In12Hg
_chemical_formula_sum 'Ac4 In24 Hg2'
_symmetry_space_group_name_H-M 'P 4/n b m'
_symmetry_Int_Tables_number 125
_cell_length_a 7.0601
_cell_length_b 7.0601
_cell_length_c 17.4820
_cell_angle_alpha 90.00
_cell_angle_beta 90.00
_cell_angle_gamma 90.00
loop_
_symmetry_equiv_pos_as_xyz
'x,y,z'
'-x,-y,-z'
'-y+1/2,x,z'
'y+1/2,-x,-z'
'-x+1/2,-y+1/2,z'
'x+1/2,y+1/2,-z'
'y,-x+1/2,z'
'-y,x+1/2,-z'
'x,-y+1/2,-z'
'-x,y+1/2,z'
'-y+1/2,-x+1/2,-z'
'y+1/2,x+1/2,z'
'-x+1/2,y,-z'
'x+1/2,-y,z'
'y,x,-z'
'-y,-x,z'
loop_
_atom_site_label
_atom_site_type_symbol
_atom_site_fract_x
_atom_site_fract_y
_atom_site_fract_z
Ac1 Ac 0.2500 0.7500 0.2492
In1 In 0.0007 0.5007 0.0924
In2 In 0.0844 0.5844 0.5699
In3 In 0.2500 0.2500 0.1857
In4 In 0.2500 0.2500 0.3460
Hg1 Hg 0.2500 0.7500 0.0000
```


Record 2
This entry pairs a crystal structure of Cd6In2Ga2Hg with its theoretical PXRD pattern. Radiation: Cu Kα (λ = 1.5418 Å). Structure: a DFT-relaxed cell (GGA-PBE, Alexandria).

Principal peaks in the range 10° ≤ 2θ ≤ 90°, in order of rising 2θ:
| d/Å | 2θ (°) | Rel. int. |
| --- | --- | --- |
| 3.204 | 27.8 | 26 |
| 3.011 | 29.7 | 30 |
| 2.894 | 30.9 | 60 |
| 2.883 | 31.0 | 50 |
| 2.524 | 35.6 | 71 |
| 2.504 | 35.9 | 61 |
| 2.473 | 36.3 | 100 |
| 2.381 | 37.8 | 27 |
| 2.249 | 40.1 | 43 |
| 2.213 | 40.8 | 29 |

Cell and atoms:
```
data_Cd6In2Ga2Hg
_chemical_formula_sum 'Cd6 In2 Ga2 Hg1'
_symmetry_space_group_name_H-M 'P -1'
_symmetry_Int_Tables_number 2
_symmetry_space_group_name_Hall '-P 1'
_cell_length_a 6.7141
_cell_length_b 6.8279
_cell_length_c 7.4481
_cell_angle_alpha 63.34
_cell_angle_beta 87.23
_cell_angle_gamma 62.29
loop_
_atom_site_label
_atom_site_type_symbol
_atom_site_fract_x
_atom_site_fract_y
_atom_site_fract_z
Cd1 Cd 0.0464 0.2634 0.2026
Cd2 Cd 0.2407 0.6956 0.4718
Cd3 Cd 0.3863 0.4567 0.1909
In1 In 0.2882 0.1321 0.6125
Ga1 Ga 0.3836 0.2515 0.9208
Hg1 Hg 0.0000 0.0000 0.0000
```


Record 3
This entry pairs a crystal structure of DyPuTe2O with its theoretical PXRD pattern. Radiation: Cu Kα (λ = 1.5418 Å). Structure: a DFT-relaxed cell (GGA-PBE, Alexandria).

Principal peaks in the range 10° ≤ 2θ ≤ 90°, in order of rising 2θ:
| d/Å | 2θ (°) | Rel. int. |
| --- | --- | --- |
| 7.787 | 11.4 | 22 |
| 3.893 | 22.8 | 18 |
| 3.247 | 27.5 | 54 |
| 2.943 | 30.4 | 100 |
| 2.843 | 31.5 | 24 |
| 2.494 | 36.0 | 64 |
| 2.348 | 38.3 | 24 |
| 2.081 | 43.5 | 42 |
| 1.752 | 52.2 | 19 |
| 1.598 | 57.7 | 43 |

Cell and atoms:
```
data_DyPuTe2O
_chemical_formula_sum 'Dy2 Pu2 Te4 O2'
_symmetry_space_group_name_H-M 'P 4/n m m'
_symmetry_Int_Tables_number 129
_cell_length_a 4.1619
_cell_length_b 4.1619
_cell_length_c 15.5738
_cell_angle_alpha 90.00
_cell_angle_beta 90.00
_cell_angle_gamma 90.00
loop_
_symmetry_equiv_pos_as_xyz
'x,y,z'
'-x,-y,-z'
'-y+1/2,x,z'
'y+1/2,-x,-z'
'-x+1/2,-y+1/2,z'
'x+1/2,y+1/2,-z'
'y,-x+1/2,z'
'-y,x+1/2,-z'
'x+1/2,-y,-z'
'-x+1/2,y,z'
'-y,-x,-z'
'y,x,z'
'-x,y+1/2,-z'
'x,-y+1/2,z'
'y+1/2,x+1/2,-z'
'-y+1/2,-x+1/2,z'
loop_
_atom_site_label
_atom_site_type_symbol
_atom_site_fract_x
_atom_site_fract_y
_atom_site_fract_z
Dy1 Dy 0.2500 0.2500 0.1304
Pu1 Pu 0.2500 0.2500 0.5692
Te1 Te 0.2500 0.2500 0.3173
Te2 Te 0.2500 0.2500 0.9149
O1 O 0.2500 0.7500 0.5000
```


Record 4
This entry pairs a crystal structure of SrLi2CdAu5 with its theoretical PXRD pattern. Radiation: Cu Kα (λ = 1.5418 Å). Structure: a DFT-relaxed cell (GGA-PBE, Alexandria).
+++

**Done**
| 1.562 | 59.2 | 38 |

Cell and atoms:
```
data_Ac2In12Hg
_chemical_formula_sum 'Ac4 In24 Hg2'
_symmetry_space_group_name_H-M 'P 4/n b m'
_symmetry_Int_Tables_number 125
_cell_length_a 7.0601
_cell_length_b 7.0601
_cell_length_c 17.4820
_cell_angle_alpha 90.00
_cell_angle_beta 90.00
_cell_angle_gamma 90.00
loop_
_symmetry_equiv_pos_as_xyz
'x,y,z'
'-x,-y,-z'
'-y+1/2,x,z'
'y+1/2,-x,-z'
'-x+1/2,-y+1/2,z'
'x+1/2,y+1/2,-z'
'y,-x+1/2,z'
'-y,x+1/2,-z'
'x,-y+1/2,-z'
'-x,y+1/2,z'
'-y+1/2,-x+1/2,-z'
'y+1/2,x+1/2,z'
'-x+1/2,y,-z'
'x+1/2,-y,z'
'y,x,-z'
'-y,-x,z'
loop_
_atom_site_label
_atom_site_type_symbol
_atom_site_fract_x
_atom_site_fract_y
_atom_site_fract_z
Ac1 Ac 0.2500 0.7500 0.2492
In1 In 0.0007 0.5007 0.0924
In2 In 0.0844 0.5844 0.5699
In3 In 0.2500 0.2500 0.1857
In4 In 0.2500 0.2500 0.3460
Hg1 Hg 0.2500 0.7500 0.0000
```


Record 2
This entry pairs a crystal structure of Cd6In2Ga2Hg with its theoretical PXRD pattern. Radiation: Cu Kα (λ = 1.5418 Å). Structure: a DFT-relaxed cell (GGA-PBE, Alexandria).

Principal peaks in the range 10° ≤ 2θ ≤ 90°, in order of rising 2θ:
| d/Å | 2θ (°) | Rel. int. |
| --- | --- | --- |
| 3.204 | 27.8 | 26 |
| 3.011 | 29.7 | 30 |
| 2.894 | 30.9 | 60 |
| 2.883 | 31.0 | 50 |
| 2.524 | 35.6 | 71 |
| 2.504 | 35.9 | 61 |
| 2.473 | 36.3 | 100 |
| 2.381 | 37.8 | 27 |
| 2.249 | 40.1 | 43 |
| 2.213 | 40.8 | 29 |

Cell and atoms:
```
data_Cd6In2Ga2Hg
_chemical_formula_sum 'Cd6 In2 Ga2 Hg1'
_symmetry_space_group_name_H-M 'P -1'
_symmetry_Int_Tables_number 2
_symmetry_space_group_name_Hall '-P 1'
_cell_length_a 6.7141
_cell_length_b 6.8279
_cell_length_c 7.4481
_cell_angle_alpha 63.34
_cell_angle_beta 87.23
_cell_angle_gamma 62.29
loop_
_atom_site_label
_atom_site_type_symbol
_atom_site_fract_x
_atom_site_fract_y
_atom_site_fract_z
Cd1 Cd 0.0464 0.2634 0.2026
Cd2 Cd 0.2407 0.6956 0.4718
Cd3 Cd 0.3863 0.4567 0.1909
In1 In 0.2882 0.1321 0.6125
Ga1 Ga 0.3836 0.2515 0.9208
Hg1 Hg 0.0000 0.0000 0.0000
```


Record 3
This entry pairs a crystal structure of DyPuTe2O with its theoretical PXRD pattern. Radiation: Cu Kα (λ = 1.5418 Å). Structure: a DFT-relaxed cell (GGA-PBE, Alexandria).

Principal peaks in the range 10° ≤ 2θ ≤ 90°, in order of rising 2θ:
| d/Å | 2θ (°) | Rel. int. |
| --- | --- | --- |
| 7.787 | 11.4 | 22 |
| 3.893 | 22.8 | 18 |
| 3.247 | 27.5 | 54 |
| 2.943 | 30.4 | 100 |
| 2.843 | 31.5 | 24 |
| 2.494 | 36.0 | 64 |
| 2.348 | 38.3 | 24 |
| 2.081 | 43.5 | 42 |
| 1.752 | 52.2 | 19 |
| 1.598 | 57.7 | 43 |

Cell and atoms:
```
data_DyPuTe2O
_chemical_formula_sum 'Dy2 Pu2 Te4 O2'